can power cable help cure static problem?

The text is interrupted by records of molecules >
┌──
No. 1
15
Properties=species:S:1:pos:R:3:forces:R:3:mulliken_charge:R:1 method="wB97M-V/def2-TZVPD" total_charge=0 lumo_ha=-0.06816 relative_energy_ev=5.070 molar_mass_g_mol=94.179
C 1.871 0.692 1.174 -0.8 -4.8 1.2 -0.28
C 2.104 -0.716 0.765 1.1 3.1 2.9 -0.24
S -1.047 -0.470 0.126 0.3 0.2 0.3 -0.54
C -2.608 0.431 0.408 1.1 0.9 0.6 -0.74
H 1.487 0.220 0.084 -1.0 -0.1 -1.3 0.08
H 1.007 0.883 1.828 0.3 -0.1 -0.8 0.23
H 2.622 1.406 1.066 1.0 1.1 -0.8 0.30
H 3.110 -0.981 0.422 -0.7 0.3 -0.6 0.27
H 1.429 -1.474 1.162 -0.4 0.3 -0.8 0.32
H -3.135 0.670 -0.485 -0.2 0.2 -1.0 0.26
H -2.377 1.394 0.930 -0.4 -0.8 -0.3 0.17
H -3.269 -0.167 0.991 -0.4 -0.4 0.7 0.26
H 0.548 0.007 -3.042 0.3 0.4 1.0 0.29
H 0.261 0.122 -1.572 -4.0 -1.4 3.4 0.23
O 0.859 0.375 -2.185 3.7 1.1 -4.6 -0.61

***

No. 2
70
Properties=species:S:1:pos:R:3:forces:R:3:mulliken_charge:R:1 method="wB97M-V/def2-TZVPD" total_charge=+3 lumo_ha=-0.39768 relative_energy_ev=0.000 molar_mass_g_mol=727.776
Zr -0.137 -0.336 -0.252 -1.0 -0.7 -0.1 -0.23
C 1.315 0.404 2.449 -0.1 0.0 -0.1 -0.87
N 0.392 -0.654 1.943 0.1 0.0 0.1 0.50
C 1.113 -1.965 1.849 0.1 0.1 -0.2 -0.93
C 2.216 -1.822 0.831 -0.3 0.2 -0.2 0.95
C 3.442 -2.392 0.991 0.6 -0.2 0.0 -0.95
C 4.441 -2.135 0.044 -0.1 -0.1 -0.2 -0.57
C 4.159 -1.284 -1.030 0.6 -0.7 0.3 -0.88
C 2.907 -0.778 -1.151 -0.8 0.1 0.3 -0.51
N 1.919 -1.032 -0.238 0.6 0.1 -0.1 1.30
C -0.783 -0.749 2.846 0.1 -0.1 -0.2 -1.02
C -1.971 -1.332 2.151 0.1 0.0 -0.3 0.19
C -3.030 -1.838 2.873 -0.2 -0.2 0.2 -1.19
C -4.168 -2.250 2.201 -0.1 0.0 0.0 -0.52
C -4.210 -2.134 0.811 -0.3 -0.1 0.1 -1.03
C -3.116 -1.639 0.157 0.2 0.1 0.1 -0.26
N -1.986 -1.247 0.801 0.2 0.2 0.3 1.11
C 1.001 1.728 1.829 -0.1 -0.2 -0.2 0.51
C 1.219 2.894 2.522 0.1 0.3 0.1 -1.16
C 1.039 4.109 1.877 0.0 0.1 0.0 -0.40
C 0.641 4.104 0.545 0.1 0.3 0.1 -1.05
C 0.410 2.904 -0.073 0.1 -0.2 0.1 -0.12
N 0.568 1.707 0.542 -0.1 0.2 0.1 0.52
H 1.269 0.459 3.532 0.0 -0.1 0.2 0.57
H 2.336 0.142 2.188 0.2 -0.1 -0.1 0.50
H 1.531 -2.250 2.810 0.0 0.0 0.2 0.70
H 0.395 -2.735 1.565 -0.1 -0.1 -0.1 0.26
H 3.644 -3.018 1.852 0.0 0.0 -0.1 0.58
H 5.427 -2.569 0.142 0.0 -0.1 0.0 0.43
H 4.912 -1.066 -1.771 0.1 0.0 -0.1 0.52
H 2.657 -0.142 -1.985 -0.1 0.1 -0.1 0.29
H -0.531 -1.318 3.738 0.1 -0.1 0.1 0.66
H -1.047 0.256 3.172 0.0 0.2 0.0 0.57
H -2.966 -1.905 3.955 0.0 0.0 -0.1 0.58
H -5.018 -2.646 2.748 0.1 0.0 0.0 0.48
H -5.087 -2.426 0.245 0.1 0.0 0.1 0.51
H -3.132 -1.532 -0.915 0.0 0.0 -0.1 0.49
H 1.542 2.856 3.557 0.0 0.0 -0.1 0.55
H 1.218 5.043 2.402 0.0 -0.1 -0.1 0.48
H 0.509 5.027 -0.008 0.0 -0.1 0.1 0.49
H 0.104 2.892 -1.103 -0.1 -0.1 -0.2 0.50
O -4.338 3.358 -3.265 0.0 0.0 -0.1 -0.44
C -3.580 2.619 -2.503 -0.1 0.0 0.0 0.62
C -3.856 2.279 -1.165 -0.2 0.1 0.0 -0.72
C -2.978 1.489 -0.483 0.1 -0.1 0.1 -0.82
N -1.839 0.998 -1.031 0.1 0.1 -0.3 0.76
C -1.604 1.373 -2.295 0.4 -0.1 0.0 -0.10
Br 0.097 0.744 -2.921 0.0 0.1 -0.1 0.10
C -2.387 2.145 -3.079 -0.1 0.2 -0.4 -0.41
H -5.149 3.678 -2.844 -0.1 0.0 0.0 0.36
└──

I have had an ongoing problem with static with my audio system which is in living room where wide screen television also is.

It is a bit odd because static only comes out of 1 of the speakers. I switched around the mono amps and then the static came out of the other speaker so I know the problem is not the speakers. I performed other tests to eliminate the possibility that the problem is the preamp or cd player.

The static started after getting the television so its not a coincidence. I have moved the amps as far from the television as possible. The outlet for the audio equipment is on separate outlets than the television and tivo device.

Based upon these simple acts, the static does not seem to occur unless the television is on while the stereo is on. For instance, I listen to a cd with the volume of the tv turned off.

Can anyone recommend anything to try to eliminate the problem when both the tv and stereo are on.

The television power cable cannot be changed since it is permanently connected to the tv.

Thoughts I had include:

I could put an aftermarket power cord on the tivo device.

I could also upgrade the power strip I used for the video components from monster cable to some other product. The tv cord will not reach the outlet directly.

I could upgrade the outlets to hospital grade outlets.

any ideas would be appreciated?



lamm 2.2 mono amps
emmlabs dac and cdsd transport
purist dominus interconnect cable
audience au24 speaker cable
Mea culpa, Ngsarch :-( but I'll wager it's that tube that's the cause of the noise.
thanks for the input......the static is a quick short burst....its not a hum it more like a short crackle of static....I used the earth ground and it did not make a difference.....

I will recommend to lamm that they supply me with a new output tube since its been less than a year since I bought it. It can' hurt.
Michael, one more time: the (single) tube in each of your amps is NOT an output tube. If you want to see if it could be one of these single tubes in one of the amps, then just leave the amps im place and swap the tubes. You'll know quick enough.

If it IS one of the tubes, then have Lamm send you TWO new ones, and keep the old good one for a spare. The tubes are not matched as far as I can tell, but you'd be better off with two the same age and from the same production run.
Sounds like your TV is interfering somehow with the signal since you mention it's only a problem when the TV is on. It could be some dirty AC. Do you have a power conditioner of some kind? Something that gives clean AC could help your issues.
I will try swapping the tubes as was suggested thanks....tonite I noticed the static even when the tv was off albeit the tivo is always running and so is the directv
